Sunday, March 28, 2010

Researcher: China pays 280K people to boost its Web image--CNN

Researcher: China pays 280K people to boost its Web image
I just read this news in CNN. Together with my previous post, I guess this reveals something in Chinese internet: the government exits in every corner across the web...

== Misplaced calculated crystals ==
........
Entry 1:
GGA+U Li3Fe2P3O12, relaxed; energy with MP2020 corrections = -0.272 hartree per atom; E_form = -2.492 eV per atom; symmetry = P-1 (2); energy above the lowest structure with this stoichiometry = 0.015 eV per atom
1.0
-8.489 0.009 0.048
4.245 -7.925 -0.154
-4.214 -2.453 6.976
Li Fe P O
6 4 6 24
Direct
0.170 0.335 0.594
0.568 0.316 0.839
0.809 0.145 0.274
0.191 0.855 0.726
0.432 0.684 0.161
0.830 0.665 0.406
0.695 0.041 0.658
0.712 0.568 0.137
0.288 0.432 0.863
0.305 0.959 0.342
0.784 0.247 0.968
0.790 0.744 0.746
0.498 0.247 0.543
0.502 0.753 0.457
0.210 0.256 0.254
0.216 0.753 0.032
0.708 0.192 0.834
0.872 0.740 0.872
0.971 0.799 0.531
0.676 0.217 0.513
0.598 0.553 0.796
0.987 0.718 0.129
0.710 0.871 0.788
0.635 0.103 0.166
0.382 0.265 0.744
0.788 0.418 0.994
0.607 0.422 0.392
0.321 0.085 0.535
0.679 0.915 0.465
0.393 0.578 0.608
0.212 0.582 0.006
0.618 0.735 0.256
0.365 0.897 0.834
0.290 0.129 0.212
0.013 0.282 0.871
0.402 0.447 0.204
0.324 0.783 0.487
0.029 0.201 0.469
0.128 0.260 0.128
0.292 0.808 0.166



Entry 2:
GGA+U LiFe2P2O8, relaxed; energy with MP2020 corrections = -0.281 hartree per atom; E_form = -2.328 eV per atom; symmetry = P1 (1); energy above the lowest structure with this stoichiometry = 0.060 eV per atom
1.0
4.551 0.000 0.000
-1.264 -5.052 0.000
-1.683 0.217 -7.508
Li Fe P O
1 2 2 8
Direct
0.312 0.310 0.024
0.051 0.245 0.390
0.946 0.767 0.590
0.348 0.813 0.267
0.642 0.177 0.735
0.157 0.641 0.399
0.306 0.079 0.612
0.235 0.070 0.223
0.339 0.649 0.109
0.634 0.299 0.908
0.796 0.940 0.760
0.692 0.907 0.386
0.826 0.388 0.619



Entry 3:
GGA+U LiFeP2O7, relaxed; energy with MP2020 corrections = -0.274 hartree per atom; E_form = -2.388 eV per atom; symmetry = Cc (9); energy above the lowest structure with this stoichiometry = 0.138 eV per atom
1.0
-7.947 -1.857 0.989
-5.709 -5.815 -1.077
-1.335 -4.611 7.390
Li Fe P O
2 2 4 14
Direct
0.141 0.466 0.549
0.466 0.141 0.049
0.510 0.500 0.503
0.500 0.510 0.003
0.770 0.037 0.313
0.970 0.234 0.188
0.234 0.970 0.688
0.037 0.770 0.813
0.377 0.815 0.844
0.036 0.968 0.252
0.254 0.564 0.936
0.425 0.764 0.561
0.764 0.425 0.061
0.968 0.036 0.752
0.895 0.763 0.382
0.815 0.377 0.344
0.763 0.895 0.882
0.111 0.246 0.626
0.564 0.254 0.436
0.619 0.190 0.157
0.246 0.111 0.126
0.190 0.619 0.657



Entry 4:
GGA+U LiFe2P2O8, relaxed; energy with MP2020 corrections = -0.282 hartree per atom; E_form = -2.336 eV per atom; symmetry = Pc (7); energy above the lowest structure with this stoichiometry = 0.053 eV per atom
1.0
6.700 0.000 0.000
0.000 5.179 0.000
0.000 0.321 10.730
Li Fe P O
2 4 4 16
Direct
0.241 0.249 0.670
0.759 0.249 0.170
0.468 0.247 0.920
0.948 0.753 0.590
0.532 0.247 0.420
0.052 0.753 0.090
0.224 0.749 0.825
0.722 0.252 0.677
0.776 0.749 0.325
0.278 0.252 0.177
0.044 0.802 0.915
0.410 0.889 0.870
0.255 0.456 0.817
0.711 0.323 0.813
0.169 0.864 0.691
0.751 0.957 0.659
0.912 0.389 0.616
0.529 0.329 0.602
0.956 0.802 0.415
0.590 0.889 0.370
0.745 0.456 0.317
0.289 0.323 0.313
........
== The calculated crystals stop here ==

Assume one guy has a facebook account, and he is not very popular there, so he faked thousands of facebook accounts and then add his original account as friend, writing good things on the wall, then use each account to ask other people to add his original account as friend. One day, all of these are exposed to the public, then I guess either his account will be locked or his machine will be hacked by some angry attackers. And that is what the government is going to risk.

Maybe each country has certain people doing such things, but it should never be a major part of government's work. However, there is no way to consider 280K as a small amount of people here(if the researcher doesn't fake the number). Using millions of dollars each year just to say good things for yourself. That's the worst budget plan I could ever thing of...

Anyway, it could be just another faked story. Hope that the story is just to get some attention from people. is gone

Well, I guess all the Chinese know that has left China, Mainland. The government held an conference, clarifying that google's quit is a special case and the overall status of Chinese internet is still very "transparent".

I don't know anything about politics. But I do know that I cannot use youtube, twitter and many other popular web services in china. And I do know that the Chinese government is filtering out a lot of information. And I also know that there is another search engine called Baidu in china, which rates the search result not by user input, but by the money from the advertisers. Moreover, I know there is some project called GFW which will filter all the web sites in china so people can only access the ones allowed by the government. No wonder there is a writer in China who published a post long time ago saying that one day Chinese people would have only one site to read news, only one search engine to use, and only one IM to chat and all of them are controlled by government. This may not be a joke. If nothing is changed in Chinese IT industry, then all of these will come to truth....

When the government officer said that the Chinese internet is transparent. I burst into laughters--what a hilarious joke.

Sunday, March 21, 2010

Still working on data structure and algo problems.

It is a bit late right now, but I am still busy with reading those DS and algo books, solving problems. I will update this post next week. Time is flying this week. I will make up this weekly post once all of these are done.

Anyway, I am just trying to get it. Though it is tough, I will just treat it as an experience. Sorry for my team, I didn't work a lot for them this week. I know I should. Sometimes it is just a matter of priority. Hope that everything is going well there.(I dare not to check my lotus notes.. I cannot say no if I find something urgent is better to lie to myself that I am not that wanted right now...)

Anyway, April is coming. We will vocation then, and iPad, haha.

Busy Busy Busy

Apparently this week I don't have much time writing a "useful" post like before. Data structures and algorithms have become the only thing that I would think of all the time, even when I am sleeping. 5 days to prepare for the interview... Crazy...

Anyway, since there is a routine to write something, I have to spend one hour doing a little bit reading and give some post here.

So one thing that I have done this week is going through the c++ knowledge buried in my mind for 2 years... not sure whether they are expecting java or c++ or even c#, but i know it will be risky when they ask me to implement a BST or a priority queue with c++, or even ask me to compare java and c++. With java i may handle it with minutes, but with c++ I don't know whether I still remember all the syntax as i didn't use it for over one year...

The other thing is that I go through several data structure books.The only thing i would say is that the process is painful. As someone mentioned, no matter how much you have prepared for this part, keep in mind that it is far from what you will possibly meet... Alright, if that is the case, then just go through all the ds and algo problems that I could ever find within these 5 days... Coffee is the only solution to all of these :)

Except for that, I still need to handle assignments from professors and my managers...what a busy season...

Sunday, March 14, 2010

First usage of Prototype

Since last week I tried to use prototype for my project, compared to jQuery which makes heavy use of my css knowledge, Prototype is doing javascript in an way. There are quite a few utilities in prototype making js programming like java programming(...I am still newbie to js programming, most of the time I just use java for my work).

So my feeling about prototype is that the author makes a framework that very suitable for OO programmers. If you want to treat a String as an object just like what we see in java, Prototype really does that and gave me various String utilities, making String var in js behave like a java object. I like it.

For jQuery, I am not familiar with it yet. But I guess it feels like a css-selector in js:) The easy way of selecting elements in jQuery really benefits those who have done lots of html/css work. Those are just my superficial opinions. I will investigate into them further in the following weeks and update this post then.

Look forward to the battle of HTML5 vs Flash

It's not surprising that flash has met lots of challenges this year. We already know that Apple's strong attitude against flash in their products. We also know that Microsoft has made a lot of efforts to spread its silverlight. But actually there is one more player in the chaos of RIA: the HTML5.

Maybe people will use statistics like "over 90% of websites are using flash" to argue for the flash. But if they are reminded the predecessor of flash - java applet, they may understand that 90% doesn't mean a absolute domination over RIA.

Before 2000 when flash was not yet popular, java applet has been widely used by lots of websites. It was also the golden time for Sun. The stock price reached $258.75 per share during 2000 and 2001. Then by the growing of Macromedia, flash showed its advantages in performance over applet. And finally what you can see now is that 90% websites are using flash while applet has faded in the front-end of web pages.

### What comes next are crystal structures, not part of the page
┌──
Record 1
A geometry-optimized GdGaGe2O7 structure. Source: Materials Project, functional PBE.

Cell: 7.317 6.636 12.965 Å, 90.00 117.62 90.00°
Positions (direct):
Gd 0.245 0.144 0.474
Gd 0.245 0.356 0.974
Gd 0.755 0.644 0.026
Gd 0.755 0.856 0.526
Ga 0.212 0.100 0.731
Ga 0.212 0.400 0.231
Ga 0.788 0.600 0.769
Ga 0.788 0.900 0.269
Ge 0.216 0.659 0.457
Ge 0.216 0.841 0.957
Ge 0.302 0.589 0.722
Ge 0.302 0.911 0.222
Ge 0.698 0.089 0.778
Ge 0.698 0.411 0.278
Ge 0.784 0.159 0.043
Ge 0.784 0.341 0.543
O 0.013 0.658 0.921
O 0.013 0.842 0.421
O 0.153 0.688 0.188
O 0.153 0.812 0.688
O 0.212 0.054 0.875
O 0.212 0.446 0.375
O 0.220 0.111 0.281
O 0.220 0.389 0.781
O 0.256 0.502 0.579
O 0.256 0.998 0.079
O 0.411 0.671 0.981
O 0.411 0.829 0.481
O 0.428 0.122 0.690
O 0.428 0.378 0.190
O 0.572 0.622 0.810
O 0.572 0.878 0.310
O 0.589 0.171 0.519
O 0.589 0.329 0.019
O 0.744 0.002 0.921
O 0.744 0.498 0.421
O 0.780 0.611 0.219
O 0.780 0.889 0.719
O 0.788 0.554 0.625
O 0.788 0.946 0.125
O 0.847 0.188 0.312
O 0.847 0.312 0.812
O 0.987 0.158 0.579
O 0.987 0.342 0.079

E_form: -2.59 eV per atom
E_tot: -338.580 eV/cell

---

Record 2
A geometry-optimized Ca2GePd2 structure. Source: Materials Project, functional PBE.

Cell: 8.240 5.785 9.253 Å, 61.44 38.07 80.49°
Positions (direct):
Ca 0.119 0.881 0.287
Ca 0.537 0.963 0.369
Ca 0.881 0.119 0.713
Ca 0.963 0.537 0.131
Ge 0.257 0.257 0.743
Ge 0.507 0.507 0.993
Pd 0.463 0.537 0.285
Pd 0.535 0.965 0.713
Pd 0.537 0.463 0.715
Pd 0.965 0.535 0.787

E_form: -0.79 eV per atom
E_tot: -45.909 eV/cell

---

Record 3
A geometry-optimized Y12InNi6 structure. Source: Materials Project, functional PBE.

Cell: 8.446 8.446 8.446 Å, 109.47 109.47 109.47°
Positions (direct):
Y 0.115 0.813 0.302
Y 0.187 0.302 0.490
Y 0.187 0.698 0.885
Y 0.302 0.115 0.813
Y 0.302 0.490 0.187
Y 0.490 0.187 0.302
Y 0.510 0.813 0.698
Y 0.698 0.510 0.813
Y 0.698 0.885 0.187
Y 0.813 0.302 0.115
Y 0.813 0.698 0.510
Y 0.885 0.187 0.698
In 0.000 0.000 0.000
Ni 0.123 0.623 0.500
Ni 0.377 0.500 0.877
Ni 0.500 0.123 0.623
Ni 0.500 0.877 0.377
Ni 0.623 0.500 0.123
Ni 0.877 0.377 0.500

E_form: -0.36 eV per atom
E_tot: -121.871 eV/cell

---

Record 4
A geometry-optimized NaY9Si6O26 structure. Source: Materials Project, functional PBE.

Cell: 9.454 9.454 6.834 Å, 90.00 90.00 120.00°
Positions (direct):
Na 0.000 0.000 0.000
Y 0.000 0.000 0.506
Y 0.333 0.667 0.005
Y 0.333 0.667 0.502
Y 0.428 0.099 0.754
Y 0.432 0.332 0.253
Y 0.668 0.100 0.253
Y 0.671 0.572 0.754
Y 0.900 0.568 0.253
Y 0.901 0.329 0.754
Si 0.040 0.305 0.253
Si 0.064 0.704 0.751
Si 0.265 0.960 0.253
Si 0.296 0.360 0.751
Si 0.640 0.936 0.751
Si 0.695 0.735 0.253
O 0.010 0.584 0.944
O 0.011 0.578 0.562
O 0.067 0.856 0.268
O 0.144 0.211 0.268
O 0.160 0.505 0.252
O 0.185 0.165 0.742
O 0.197 0.464 0.754
O 0.267 0.803 0.754
O 0.329 0.084 0.444
O 0.340 0.087 0.068
O 0.345 0.840 0.252
O 0.416 0.426 0.944
O 0.422 0.432 0.562
O 0.495 0.655 0.252
O 0.536 0.733 0.754
O 0.568 0.989 0.562
O 0.574 0.990 0.944
O 0.667 0.333 0.258
└──

The same thing may apply to HTML5. For programmers I guess it is also easier to use something that they are familiar with. But the evolution of technology will force us to learn new stuff. If the emerging new technology has superior advantages over the old one, then the stereotyped people who insist in using the old one will either be discarded by the age or change the age to their own(the latter is always quite difficult to achieve.) So the problem now is not whether HTML5 will challenge Flash. It is a problem of when this battle will start. As far as I have seen in those HTML5 websites, they consume fewer resources and deliver a similar or even better performance than flash(at least from the examples that they show). If HTML5 could be finally standardized, then Flash will get a real hit(why should I install some plug-in for some animation if it can be achieved already through the standards natively supported by all the browsers and platforms).

So far there are no published books about HTML5. Most of them are in progress by HTML5 pioneers. And In June there will be some available. I will buy some and start playing with it:)

Sunday, March 7, 2010

Hadoop learning notes

During the Olympic break I got a chance to read something about one of Apache's top projects - hadoop. Essentially it looks like an elegant way of implementing the famous map-reduce ideas. At the beginning I was able to run those codes that they provided. But when it came to the multi-server section, I was trapped by the lack of resources. So I could only read the book and mimic the execution of the code in my mind.

As far as I can see, the idea of hadoop here is to split the work, then map them to different nodes and reduce the results. Well, this is just a very naive understanding. But I guess for the most part of hadoop it is doing these things. The nice thing is that hadoop provide a scalable mechanism to implement this map-reduce idea. By assigning the responsibilities to different machines(they are treated as nodes like NameNode, DataNode, JobTracker, TaskTracker and so on). By carefully configuring a cluster, these nodes could work together and finish some heavy-loaded tasks.

Then I talked about it with my friend. He is also doing some computing research right now. He suggest me read some Google stuff about this kind of map-reduce. As hadoop is originated by Yahoo. Google may have a different idea to do the same thing. Well, the problem is how I can get to know the secrets of Google's infrastructure. Every one knows there is a big table in data search engine. But how does Google split the work and implement the big table. It is obviously more difficult to get the information from Google rather than Hadoop:( Perhaps I have to read other people's research about this field instead of find it out by myself.

Some opinions about GIT

When we were discussing which version control mechanism we should use at the beginning of our project, my partner present me this fresh idea. To be honest, I didn't hear of it before. And my knowledge about version control tools is limited to cvs and svn. Now it seems that there are many more players in this field. Hence we attempted to use this new tool for our project.

After several days of playing on it, I noticed that GIT is very fast. And those commands are quite easy to pick up. Perhaps there is something wrong with the site we used to maintain our code, I frequently have to regenerate my ssh signature to get GIT access. So far so good. But when it comes to UI, I guess GIT is not the preferred choice for me. I am used to code in an IDE like eclipse. But GIT has not yet had any plug-in support in eclipse. Officially I know that they have support for Netbeans IDE, but I have not used that ide for one year. And it will be a bit awful for me to use Netbeans IDE if I am working in an eclipse team:) . Compared to GIT, CVS is nicely supported in eclipse. The comparison and merging of codes are nicely rendered with different colors. Same for svn. It is also supported (though in incubation period) by eclipse before the latest helios version(prior to 3.6).

Anyway, I may have to pick up Netbeans again and get used to it these days.